The Scream

## Materials data from another source follow
Record 1
Simulated X-ray powder pattern
Compound: Rb2CuAuBr4Cl2
Radiation: Cu Kα X-rays
Structure: DFT lattice parameters and positions (PBE)
Kinematic intensities with the Lorentz-polarization factor, no thermal factor.

Most intense lines, 2θ = 5–70°, by angle:
14.24°, intensity 36; 16.31°, intensity 51; 23.30°, intensity 100; 27.28°, intensity 22; 28.70°, intensity 35; 32.97°, intensity 44; 33.40°, intensity 94; 37.40°, intensity 30; 41.13°, intensity 44; 47.64°, intensity 60; 47.96°, intensity 32; 59.43°, intensity 30

Structure:
Unit cell a=7.636 b=7.636 c=7.636 alpha=120.42 beta=120.42 gamma=89.28
Sites, in units of the cell vectors:
Rb (0.250, 0.750, 0.500)
Rb (0.750, 0.250, 0.500)
Cu (0.000, 0.000, 0.000)
Au (0.500, 0.500, 0.000)
Br (0.265, 0.265, 0.531)
Br (0.265, 0.735, 0.000)
Br (0.735, 0.265, 0.000)
Br (0.735, 0.735, 0.469)
Cl (0.200, 0.200, 0.000)
Cl (0.800, 0.800, 0.000)



Record 2
Simulated X-ray powder pattern
Compound: HoTmInC
Radiation: Cu Kα X-rays
Structure: DFT lattice parameters and positions (PBE)
Kinematic intensities with the Lorentz-polarization factor, no thermal factor.

Most intense lines, 2θ = 5–70°, by angle:
10.94°, intensity 6; 28.93°, intensity 22; 29.46°, intensity 1; 33.24°, intensity 21; 33.45°, intensity 100; 44.64°, intensity 16; 51.26°, intensity 21; 59.53°, intensity 19; 59.94°, intensity 3; 62.48°, intensity 21; 62.61°, intensity 16; 69.79°, intensity 3

Structure:
Unit cell a=3.564 b=3.564 c=16.170 alpha=90.00 beta=90.00 gamma=120.00
Sites, in units of the cell vectors:
Ho (0.333, 0.667, 0.000)
Ho (0.667, 0.333, 0.500)
Tm (0.333, 0.667, 0.665)
Tm (0.667, 0.333, 0.165)
In (0.333, 0.667, 0.331)
In (0.667, 0.333, 0.831)
C (0.000, 0.000, 0.083)
C (0.000, 0.000, 0.583)



Record 3
Simulated X-ray powder pattern
Compound: Ag3AsS4
Radiation: Cu Kα X-rays
Structure: DFT lattice parameters and positions (PBE)
Kinematic intensities with the Lorentz-polarization factor, no thermal factor.

Most intense lines, 2θ = 5–70°, by angle:
25.18°, intensity 7; 28.21°, intensity 100; 30.97°, intensity 58; 40.32°, intensity 6; 44.37°, intensity 17; 46.28°, intensity 25; 48.14°, intensity 44; 51.70°, intensity 14; 55.09°, intensity 4; 58.35°, intensity 10; 59.93°, intensity 22; 61.49°, intensity 3

Structure:
Unit cell a=7.073 b=7.073 c=7.073 alpha=90.00 beta=90.00 gamma=90.00
Sites, in units of the cell vectors:
Ag (0.000, 0.250, 0.500)
Ag (0.000, 0.750, 0.500)
Ag (0.250, 0.500, 0.000)
Ag (0.500, 0.000, 0.250)
Ag (0.500, 0.000, 0.750)
Ag (0.750, 0.500, 0.000)
As (0.000, 0.000, 0.000)
As (0.500, 0.500, 0.500)
S (0.181, 0.181, 0.819)
S (0.181, 0.819, 0.181)
S (0.319, 0.319, 0.319)
S (0.319, 0.681, 0.681)
S (0.681, 0.319, 0.681)
S (0.681, 0.681, 0.319)
S (0.819, 0.181, 0.181)
S (0.819, 0.819, 0.819)



Record 4
Simulated X-ray powder pattern
Compound: NiSe2Br
Radiation: Cu Kα X-rays
Structure: DFT lattice parameters and positions (PBE)
Kinematic intensities with the Lorentz-polarization factor, no thermal factor.

Visual screenplay links : ENGLISH / FRENCH

A short screenplay, 12 minutes duration, I made for a screenwriting challenge.

Genre: Hard Sci-Fi.

On top of the visual screenplay (korean format), I also made a western format version:

English Western Screenplay 

Not exactly the same, it's a 10 minutes version.

It can be useful for people wondering HOW to cut 2 pages out of 12. 

I also think this version is probably better, even if I had to cut some good elements.

I still advice to read Visual Screenplay first. Visuals are gorgeous!

Below the picture is the logline. Don't read if you don't want any spoiler.

Logline : 

Russian astronauts fulfill their mission in the silent space, until something impossible happens... 
A scream!!!


  1. I like this controversial "something deaf hears your scream." It was intriguing right from the start. Ha, okay, tough Russians, adopt a bear, and images of saints—probably some miniature icons. I can't say anything about space technology but icons. That's realistic!

Misplaced materials data:
┌──
This entry pairs a crystal structure of TePd with its computed X-ray diffraction stick pattern. Radiation: Cu Kα, 1.54184 Å. Structure: DFT lattice parameters and positions (GGA-PBE).

Principal peaks in the range 10 to 90 degrees two-theta, by angle:
2θ (°)	I (rel.)
27.54	906
30.04	819
34.12	756
41.21	1000
42.64	362
44.39	403
47.40	376
48.69	467

Crystal structure
a = 6.598 Å, b = 6.598 Å, c = 6.598 Å
α = 116.48°, β = 116.48°, γ = 116.48°
Fractional coordinates of all 6 atoms:
Te 0.219 0.219 0.561
Te 0.219 0.561 0.219
Te 0.561 0.219 0.219
Pd 0.672 0.928 0.928
Pd 0.928 0.672 0.928
Pd 0.928 0.928 0.672

----------

Entry 1:
The following is a calculated X-ray diffraction stick pattern of CoPbSO. It was derived from a DFT-relaxed cell (PBE+U, OQMD), using Cu Kα (weighted mean of Kα1 and Kα2).

Atomic structure:
abc: 6.507 6.691 6.847
angles: 90.00 90.00 90.00
Space group P2_12_12_1 (No. 19)
Inequivalent atoms, fractional coordinates:
Co1 0.087 0.087 0.099
Pb1 0.126 0.635 0.853
S1 0.111 0.893 0.396
O1 0.080 0.413 0.552

Principal peaks in the range 10° ≤ 2θ ≤ 80°, sorted by position:
d 4.716, 18.81°, intensity 38
d 3.855, 23.07°, intensity 79
d 3.048, 29.31°, intensity 59
d 3.030, 29.48°, intensity 42
d 3.006, 29.72°, intensity 55
d 2.975, 30.04°, intensity 59
d 2.938, 30.42°, intensity 41
d 2.926, 30.55°, intensity 46
d 2.760, 32.44°, intensity 100
d 2.729, 32.82°, intensity 78
d 2.690, 33.30°, intensity 95
d 1.868, 48.74°, intensity 45

---

Entry 2:
The following is a calculated X-ray diffraction stick pattern of CoPbSeO. It was derived from a DFT-relaxed cell (PBE+U, OQMD), using Cu Kα (weighted mean of Kα1 and Kα2).

Atomic structure:
abc: 3.480 15.902 5.993
angles: 90.00 90.00 90.00
Space group Cmc2_1 (No. 36)
Inequivalent atoms, fractional coordinates:
Co1 0.000 0.177 0.000
Pb1 0.000 0.431 0.083
Se1 0.000 0.194 0.418
O1 0.000 0.382 0.431

Principal peaks in the range 10° ≤ 2θ ≤ 80°, sorted by position:
d 4.786, 18.54°, intensity 82
d 3.399, 26.21°, intensity 47
d 3.313, 26.91°, intensity 100
d 2.996, 29.82°, intensity 47
d 2.957, 30.23°, intensity 32
d 2.909, 30.73°, intensity 48
d 2.804, 31.92°, intensity 38
d 2.617, 34.26°, intensity 92
d 2.348, 38.34°, intensity 54
d 2.248, 40.11°, intensity 52
d 1.987, 45.66°, intensity 42
d 1.785, 51.18°, intensity 31

---

Entry 3:
The following is a calculated X-ray diffraction stick pattern of CoPbSeO. It was derived from a DFT-relaxed cell (PBE+U, OQMD), using Cu Kα (weighted mean of Kα1 and Kα2).

Atomic structure:
abc: 6.560 6.914 7.121
angles: 90.00 90.00 90.00
Space group P2_12_12_1 (No. 19)
Inequivalent atoms, fractional coordinates:
Co1 0.075 0.075 0.094
Pb1 0.123 0.642 0.851
Se1 0.111 0.893 0.397
O1 0.086 0.400 0.544

Principal peaks in the range 10° ≤ 2θ ≤ 80°, sorted by position:
d 3.957, 22.47°, intensity 51
d 3.129, 28.52°, intensity 48
d 3.110, 28.71°, intensity 60
d 3.058, 29.20°, intensity 25
d 2.963, 30.16°, intensity 54
d 2.851, 31.38°, intensity 100
d 2.810, 31.85°, intensity 75
└──
The entry goes on:

    Dang, I'm not a sci-fi person, but I love space horror. As I was reading, I heard that scream sound. Nice work! It was my first short story in script format, and I enjoyed it. You may evolve it into a full-movie script because the premise looks promising.

    1. Hi Nika, thanks for reading. You probably have read the western screenplay version. And I'm sorry, I just realize it wasn't clear the links for visuals was at start and I just modified my post. Indeed, I got real photos of ISS, and there was a cross and saint icons.

      Yeah, we first have feeling it could be space horror: terrible alien killing people. But I had need a full movie for that. And anyway, I wanted something positive, or some hope. So this space monster is deaf, but can hear a scream, it's an empath, can feel emotions of other beings in the distance.
      We don't know much about the alien, but the sea-urchin makes think it's not a predator monster. More a peaceful alien needing some defense, like space spines as a Scream, and a zone of silence once we are close.

    2. Oh, no, my bad! I'm not good at reading scripts, I guess. I should practice more. Thank you for explaining the depth and sense of your story. I like it more this way, no need for a full length then. And oh, what a moving short movie would it be! 

  2. Great script @WE! I enjoyed it. It had enough balance between character moments before the suspense and you did really great with the technical 'details'. I read the Korean version script. I liked the photos you found. They really augmented the script.

    I'm impressed by your rendition of the alien as a space spiny urchin empath who must also be amazingly telepathic to know how to manage moving a human body and presumably keep it alive while possessing it for the first time.

    Yes, I like a story of hope. It does sound like the start of a possible movie. What happened after you submitted it for the challenge?

    1. Hi GB. Glad to see your comment. It boosts my motivation!
      I haven't submitted the script yet. It asks for 10 pages and I have 12. Out of curiosity, if I have time, I'll cut it down to 10 pages. Some content will be lost, but after all, I spend my time rewriting and juggling scenes. Still, I'll keep the full version for visual screenplay.
      I don't think I can make a movie out of it. For once I'm able to do something short.

      The alien is an empath, but not a telepath, as we can see that it has difficulty understanding what to do in the airlock.
      There's a lot I don't explain, but the audience can guess:
      - The alien has certainly encountered other species in the universe. And perhaps species similar to humans, or of the same technological level. Because it's not interested in learning more and visiting Earth. Nothing interesting or new.
      - It has certainly, from time to time, taken control of various species.
      - It's likely that it can travel faster than light. So, it made a stopover on its journey because Earth is home to living beings. Unfortunately, nothing interesting turned up.
      - On its approach, it accidentally carried a shower of dust with it. Hence the fact that it saves the two humans it has accidentally endangered.
      - The scream resembles the quills of a sea urchin, just in the form of strange waves, reaching further into space.

      In a way, the idea probably came partly from a discussion on BOD. About space travel being like ocean travel. What if there were species adapted to life in space, just as there are species adapted to life in the ocean? Species that don't need spaceships.

  3. So interesting. What was the source of the silence and why did silence depart with The Scream?

    1. The challenge was: a character has to be deaf.

      Only, I had no idea with a born deaf character, so I was thinking: just make the guy deaf during the story. So, what can make someone deaf? For a complicated (but more simple reason) for me, I put an alien with a scream. Then it wasn't really that, I couldn't make the men deaf.

      I wrote a tagline in a way it subverts the tagline "in space no one hear your screams", so many used in movies or b-movies. I was just looking for a "cool" effect. I did the one you read on the picture. But it was a bit absurd, and when I was thinking about that further, it means: how the alien can hear if it's deaf? Then "empath" idea. Then I could make the challenge, the deaf character are not humans but the alien!

      As the alien is deaf, no wonder why: this crazy guy screams into space, and I was thinking, of course the alien can't hear anything with such a scream, too much noise even for itself.

      Then I was thinking about cyclons. In this kind of giant tornado, outside is very violent winds, but in the heart is "the eye of the cyclon", quiet and no wind. What makes outside the alien a violent scream, but close to it, in the center is a total silence. Silence is great for a deaf alien. Then, as is the scream supernatural to spread wave into outer space, the silent zone is also supernatural, forcing silence in proximity of the alien.

      I think with that, you have a lot of the idea chain in real time. ;-)

'''
[1]
Starting from a crystal structure in Alexandria, relaxed with PBE, the powder XRD pattern of Zr4CuAg was simulated for a wavelength of 1.5418 Å.

Most intense lines, 2θ from 10° to 90°, low angle first:
(1 0 2), d 2.839, 31.5 deg, I = 4.5
(1 0 3), d 2.498, 36.0 deg, I = 100.0
(1 1 0), d 2.294, 39.3 deg, I = 40.9
(0 0 6), d 1.958, 46.4 deg, I = 10.2
(2 0 0), d 1.622, 56.8 deg, I = 13.4
(1 1 6), d 1.489, 62.4 deg, I = 16.5
(2 1 3), d 1.360, 69.1 deg, I = 27.5
(2 0 6), d 1.249, 76.2 deg, I = 8.8
(1 0 9), d 1.211, 79.1 deg, I = 6.2
(2 2 0), d 1.147, 84.5 deg, I = 4.1

Cell and atoms:
```
data_Zr4CuAg
_symmetry_space_group_name_H-M 'P 4/m m m'
_symmetry_Int_Tables_number 123
_symmetry_space_group_name_Hall '-P 4 2'
_cell_length_a 3.2435
_cell_length_b 3.2435
_cell_length_c 11.7450
_cell_angle_alpha 90.00
_cell_angle_beta 90.00
_cell_angle_gamma 90.00
loop_
_atom_site_label
_atom_site_fract_x
_atom_site_fract_y
_atom_site_fract_z
_atom_site_occupancy
Zr1 0.0000 0.0000 0.1468 1
Zr2 0.5000 0.5000 0.3284 1
Cu1 0.5000 0.5000 0.0000 1
Ag1 0.0000 0.0000 0.5000 1
```

[2]
Starting from a crystal structure in Alexandria, relaxed with PBE, the powder XRD pattern of Dy2Ag3 was simulated for a wavelength of 1.5418 Å.

Most intense lines, 2θ from 10° to 90°, low angle first:
(1 1 0), d 2.593, 34.6 deg, I = 59.1
(1 0 5), d 2.482, 36.2 deg, I = 100.0
(2 0 0), d 1.834, 49.7 deg, I = 20.7
(0 0 10), d 1.686, 54.4 deg, I = 6.6
(2 1 5), d 1.475, 63.0 deg, I = 38.2
(1 1 10), d 1.413, 66.1 deg, I = 14.6
(2 2 0), d 1.297, 73.0 deg, I = 6.4
(2 0 10), d 1.241, 76.8 deg, I = 9.4
(3 1 0), d 1.160, 83.3 deg, I = 9.1
(3 0 5), d 1.149, 84.3 deg, I = 8.5

Cell and atoms:
```
data_Dy2Ag3
_symmetry_space_group_name_H-M 'I 4/m m m'
_symmetry_Int_Tables_number 139
_symmetry_space_group_name_Hall '-I 4 2'
_cell_length_a 3.6672
_cell_length_b 3.6672
_cell_length_c 16.8570
_cell_angle_alpha 90.00
_cell_angle_beta 90.00
_cell_angle_gamma 90.00
loop_
_atom_site_label
_atom_site_fract_x
_atom_site_fract_y
_atom_site_fract_z
_atom_site_occupancy
Dy1 0.0000 0.0000 0.1076 1
Ag1 0.0000 0.0000 0.2934 1
Ag2 0.0000 0.0000 0.5000 1
```

=====

For KPuMnTe3, a cell relaxed with GGA-PBE gives the simulated X-ray diffraction stick pattern in this record (Cu Kα (weighted mean of Kα1 and Kα2)).
Intensities are scaled so that the largest is 100.

Structure:
abc: 9.6464 4.5211 10.3941
angles: 90.00 107.29 90.00
Space group P2_1/m (No. 11)
Symmetry-distinct sites (fractional):
K 0.2063 0.2500 0.2367 (multiplicity 2)
Pu 0.3276 0.7500 0.8554 (multiplicity 2)
Mn 0.0849 0.2500 0.6009 (multiplicity 2)
Te 0.1037 0.2500 0.8621 (multiplicity 2)
Te 0.2116 0.7500 0.5315 (multiplicity 2)
Te 0.4605 0.7500 0.1662 (multiplicity 2)

Main lines, low angle first (2θ from 10° to 90°):
Position (°2θ)	I/Imax	h k l
10.99	100	1 0 -1
21.90	18	1 1 0
26.95	36	0 0 3
27.23	70	2 1 -1
27.65	36	2 1 0
32.60	23	1 1 -3
36.22	19	2 1 2
39.88	21	0 2 0
41.01	35	2 1 -4
43.85	18	3 1 2
'''

  4. Thanks for the detailed explanation and flow of the process that you went through @WE. It's only when we speak with the Writer can we know all these details. What happens is that most of the time we are wondering what 'that' was all about and have to make unverifiable guesses. Still something of your explanation might have slowly occurred to viewers/readers, so it was within our possible knowledge and experience that we could find a likely explanation.

    The process sounds familiar, because should I write fiction, especially something sci-fi or supernatural, I'd have to start somewhere and build around it too, and then try to make all the parts coherent without too many plot holes.

    I was just watching some YT videos on plot holes and was amused. I'll send you the links on MDL. :-)

    1. Yep. Once everything was coherent, I just show how things happen. With some clues, visuals or sounds. We get the first moment when the Scream stops and glows pink. But in case it wasn't enough obvious, I put it at the end too, and even specify it seems to empathize.

      Else, I didn't give any explanation, because I think it's obvious, audience can easely guess. I said I give a lot of explanations in W season 2, but I don't about what is obvious, like here. I'll check your message on MD. ;-)
